YouPower: a social platform for participation, awareness and engagement by CIVIS project


Summer 2016

<<<
1.
Simulated powder X-ray diffraction pattern
Compound: CdBiIO2
Radiation: λ = 1.5418 Å (Cu Kα)
Structure: DFT lattice parameters and positions (GGA-PBE)
Neutral-atom scattering factors, no anomalous dispersion.

Peak list (12 most intense, 5° ≤ 2θ ≤ 70°, in order of rising 2θ)
2θ = 13.40°, I 7
2θ = 23.10°, I 9
2θ = 30.08°, I 100
2θ = 31.44°, I 39
2θ = 40.99°, I 9
2θ = 41.90°, I 4
2θ = 45.05°, I 19
2θ = 52.55°, I 23
2θ = 55.13°, I 36
2θ = 62.53°, I 11
2θ = 65.62°, I 6
2θ = 67.98°, I 9

Structural model:
Cell lengths 7.1926, 7.1926, 7.1926 Å; angles 147.51, 147.51, 46.61 degrees
Sites, in units of the cell vectors:
Cd: 0.0000 0.0000 0.0000
Bi: 0.3346 0.3346 0.0000
I: 0.6525 0.6525 0.0000
O: 0.4147 0.9147 0.5000
O: 0.9147 0.4147 0.5000

=====

2.
Simulated powder X-ray diffraction pattern
Compound: CdBiSe2I
Radiation: λ = 1.5418 Å (Cu Kα)
Structure: DFT lattice parameters and positions (GGA-PBE)
Neutral-atom scattering factors, no anomalous dispersion.

Peak list (12 most intense, 5° ≤ 2θ ≤ 70°, in order of rising 2θ)
2θ = 15.11°, I 14
2θ = 21.67°, I 30
2θ = 28.02°, I 13
2θ = 28.48°, I 100
2θ = 29.61°, I 19
2θ = 29.95°, I 26
2θ = 33.72°, I 13
2θ = 41.48°, I 18
2θ = 42.14°, I 18
2θ = 42.57°, I 22
2θ = 46.47°, I 14
2θ = 52.02°, I 15

Structural model:
Cell lengths 7.2832, 7.2832, 10.3737 Å; angles 91.63, 91.63, 33.90 degrees
Sites, in units of the cell vectors:
Cd: 0.0000 0.0000 0.0000
Cd: 0.0000 0.0000 0.5000
Bi: 0.2856 0.2856 0.6845
Bi: 0.7144 0.7144 0.3155
Se: 0.0806 0.0806 0.2598
Se: 0.3570 0.3570 0.4416
Se: 0.6430 0.6430 0.5584
Se: 0.9194 0.9194 0.7402
I: 0.3616 0.3616 0.0756
I: 0.6384 0.6384 0.9244

=====

3.
Simulated powder X-ray diffraction pattern
Compound: Li2CdBi
Radiation: λ = 1.5418 Å (Cu Kα)
Structure: DFT lattice parameters and positions (GGA-PBE)
Neutral-atom scattering factors, no anomalous dispersion.

Peak list (9 most intense, 5° ≤ 2θ ≤ 70°, in order of rising 2θ)
2θ = 22.14°, I 15
2θ = 25.62°, I 100
2θ = 36.55°, I 91
2θ = 43.15°, I 9
2θ = 45.17°, I 30
2θ = 52.65°, I 16
2θ = 57.80°, I 4
2θ = 59.45°, I 39
2θ = 65.80°, I 33

Structural model:
Cell lengths 4.9169, 4.9169, 4.9169 Å; angles 60.00, 60.00, 60.00 degrees
Sites, in units of the cell vectors:
Li: 0.2500 0.2500 0.2500
Li: 0.7500 0.7500 0.7500
Cd: 0.0000 0.0000 0.0000
Bi: 0.5000 0.5000 0.5000

----------

The following is a theoretical powder X-ray diffraction pattern of Cr4Ga3BiO12. It was derived from the PBE+U geometry in Alexandria, using Cu Kα (weighted mean of Kα1 and Kα2).
Kinematic intensities with the Lorentz-polarization factor, no thermal factor.

Structure:
abc: 6.506 6.506 6.506
angles: 109.47 109.47 109.47
Sites, in units of the cell vectors:
Cr: 0.000 0.000 0.500
Cr: 0.000 0.500 0.000
Cr: 0.500 0.000 0.000
Cr: 0.500 0.500 0.500
Ga: 0.000 0.500 0.500
Ga: 0.500 0.000 0.500
Ga: 0.500 0.500 0.000
Bi: 0.000 0.000 0.000
O: 0.135 0.311 0.824
O: 0.176 0.487 0.311
O: 0.176 0.865 0.689
O: 0.311 0.176 0.487
O: 0.311 0.824 0.135
O: 0.487 0.311 0.176
O: 0.513 0.689 0.824
>>>

CIVIS project's back in these pages to tell you how things have been going since September 2015, when we first wrote about the project, presenting its structure, objectives and actions foreseen.

-- begin --
# 1
For Al2Tl2Br7, a crystal structure in Alexandria, relaxed with GGA-PBE gives the computed powder XRD pattern in this record (CuKα).
Lines closer than 0.1° are merged.

Structure:
a = 6.779 Å, b = 16.512 Å, c = 8.297 Å
α = 90.00°, β = 97.66°, γ = 90.00°
Space group P2_1/c (No. 14)
Symmetry-distinct sites (fractional):
Al 0.150 0.111 0.338 x4
Tl 0.378 0.648 0.599 x4
Br 0.000 0.000 0.500 x2
Br 0.086 0.711 0.267 x4
Br 0.281 0.057 0.107 x4
Br 0.414 0.179 0.504 x4

Main lines, sorted by position (10 to 90 degrees two-theta):
two_theta, d/Å, I_rel
18.9, 4.692, 67
19.2, 4.623, 92
25.3, 3.517, 34
26.2, 3.404, 26
26.9, 3.317, 100
27.8, 3.204, 25
29.4, 3.037, 25
32.0, 2.794, 24
34.3, 2.613, 25
34.8, 2.575, 29
37.5, 2.399, 29
39.4, 2.285, 24

***

# 2
For Pr5NdEr, a crystal structure in Alexandria, relaxed with GGA-PBE gives the computed powder XRD pattern in this record (CuKα).
Lines closer than 0.1° are merged.

Structure:
a = 13.599 Å, b = 8.869 Å, c = 5.965 Å
α = 90.00°, β = 115.92°, γ = 90.00°
Space group C2/m (No. 12)
Symmetry-distinct sites (fractional):
Pr 0.000 0.000 0.000 x2
Pr 0.000 0.324 0.500 x4
Pr 0.249 0.000 0.749 x4
Nd 0.000 0.000 0.500 x2
Er 0.000 0.500 0.000 x2

Main lines, sorted by position (10 to 90 degrees two-theta):
two_theta, d/Å, I_rel
14.5, 6.116, 100
17.9, 4.950, 63
20.0, 4.434, 76
23.1, 3.847, 40
26.1, 3.417, 54
29.2, 3.058, 96
30.0, 2.983, 90
33.4, 2.681, 56
33.8, 2.649, 67
35.7, 2.517, 35
42.3, 2.135, 70
45.3, 2.002, 60

***

# 3
For Dy2Ho3Th, a crystal structure in Alexandria, relaxed with GGA-PBE gives the computed powder XRD pattern in this record (CuKα).
Lines closer than 0.1° are merged.

Structure:
a = 11.197 Å, b = 5.021 Å, c = 14.167 Å
α = 90.00°, β = 108.36°, γ = 90.00°
Space group C2/m (No. 12)
Symmetry-distinct sites (fractional):
Dy 0.002 0.000 0.373 x4
Dy 0.003 0.000 0.127 x4
Ho 0.166 0.500 0.042 x4
Ho 0.168 0.500 0.791 x4
Ho 0.170 0.500 0.543 x4
Th 0.167 0.500 0.291 x4

Main lines, sorted by position (10 to 90 degrees two-theta):
two_theta, d/Å, I_rel
30.9, 2.894, 100
35.8, 2.508, 34
35.9, 2.503, 17
51.6, 1.772, 36
61.3, 1.512, 29
61.4, 1.510, 14
64.4, 1.447, 12
84.1, 1.150, 12
84.3, 1.149, 6
86.8, 1.122, 6
86.9, 1.121, 6
87.0, 1.120, 6

***

# 4
For U2PaC4, a crystal structure in Alexandria, relaxed with GGA-PBE gives the computed powder XRD pattern in this record (CuKα).
Lines closer than 0.1° are merged.

Structure:
a = 7.381 Å, b = 7.381 Å, c = 7.273 Å
α = 90.00°, β = 90.00°, γ = 90.00°
Space group I-42d (No. 122)
Symmetry-distinct sites (fractional):
U 0.122 0.250 0.125 x8
Pa 0.000 0.000 0.500 x4
C 0.063 0.182 0.820 x16

Main lines, sorted by position (10 to 90 degrees two-theta):
two_theta, d/Å, I_rel
29.7, 3.006, 100
29.9, 2.984, 47
38.6, 2.332, 40
39.1, 2.303, 20
46.1, 1.970, 12
46.2, 1.964, 12
46.5, 1.954, 12
55.7, 1.650, 13
55.9, 1.645, 13
56.4, 1.631, 12
59.1, 1.564, 15
64.4, 1.447, 15

***

# 5
-- stop --

The project, co-financed by the Seventh framework programme of the European Commission, uses an experiment-driven R&D approach that involves fours pilot neighborhoods, two of which are located in Italy (Trentino region) and two in Sweden (within the city of Stockholm). CIVIS's aim is to contribute to the design of a fairer, more sustainable, energy-optimised smart city. The project focuses on the ICTenabled social dimension to harness the potential of innovation of individuals and collectives with respect to energy prosumption. CIVIS links energy, ICT and society to achieve significant impacts in terms of CO2 reduction and new forms of social innovation.

The first part of the project has been devoted to the deep understating of the state of the art of the interdisciplinary topics included in the structure of the project: smart technologies available on the market, business models already tested, the social behavior of local communities in relation to energy related initiatives, the possible ways social network and ICT can be integrated to local actions.

Projects partners, of course, have also taken action on the test sites, creating contacts with citizens, housing associations, energy cooperatives, local energy initiatives and have involved these subjects into our vision and experimentation.

But today we want to focus on one of the main achievement of the project "YouPower" a social smart grid platform (a hybrid mobile application) designed to explore the potential and challenges of ICT support for social participation, awareness and engagement of household energy consumers (

The design aims to make energy more visible, inform users' energy know-how, promote pro-environmental social norms, and to facilitate users in their day-to-day life to take pro-environmental energy actions together with online communities.

The platform consists of three interrelated parts:

  • - The "Action Suggestion" part is designed to provide users with easy access to practical and implementable recommendations (and tips) for energy conservation and to motivate them to learn and practice new energy conservation behaviors until they become new habits that are embedded in the specific context of their every life.
  • - The "Housing Cooperative" part is tailored for Stockholm (Sweden) test site where residents belong to local housing cooperative that manage the properties and related issues (including energy). It provides energy information about a user's own and other cooperatives and supports communication between cooperatives' energy managers.
  • - The third part, designed for Trento (Italy) test site, mainly focuses on leveraging loadshifting, maximizing self-consumption to match production peaks of locally-installed Renewable Energy Sources. A dynamic time-of-use signal in combination with a scheme for energy donations is designed to assist the shift. In order to make users aware of their consumption patterns, realtime energy consumption data are displayed at appliances (for those installed smart plugs), household and community levels.
